-- Material --
=====
# PBE Zn2PdAu, relaxed
# energy of formation = -388 meV/atom
data_Zn2PdAu
_chemical_formula_sum 'Zn8 Pd4 Au4'
_cell_length_a 6.264
_cell_length_b 6.264
_cell_length_c 6.264
_cell_angle_alpha 90.00
_cell_angle_beta 90.00
_cell_angle_gamma 90.00
_symmetry_space_group_name_H-M 'F m -3 m'
_symmetry_Int_Tables_number 225
_symmetry_space_group_name_Hall '-F 4 2 3'
loop_
_atom_site_label
_atom_site_fract_x
_atom_site_fract_y
_atom_site_fract_z
Zn1 0.250 0.250 0.250
Pd1 0.000 0.000 0.000
Au1 0.000 0.000 0.500

---

# PBE Zn2PdAu, relaxed
# energy of formation = -389 meV/atom
data_Zn2PdAu
_chemical_formula_sum 'Zn2 Pd1 Au1'
_cell_length_a 3.157
_cell_length_b 3.157
_cell_length_c 6.170
_cell_angle_alpha 90.00
_cell_angle_beta 90.00
_cell_angle_gamma 90.00
_symmetry_space_group_name_H-M 'P 4/m m m'
_symmetry_Int_Tables_number 123
_symmetry_space_group_name_Hall '-P 4 2'
loop_
_atom_site_label
_atom_site_fract_x
_atom_site_fract_y
_atom_site_fract_z
Zn1 0.000 0.000 0.237
Pd1 0.500 0.500 0.000
Au1 0.500 0.500 0.500

---

# PBE Pm3Au, relaxed
# energy of formation = -232 meV/atom
# ΔE to the lowest computed polymorph = 0 meV/atom
data_Pm3Au
_chemical_formula_sum 'Pm6 Au2'
_cell_length_a 7.0023
_cell_length_b 7.0023
_cell_length_c 5.3363
_cell_angle_alpha 90.00
_cell_angle_beta 90.00
_cell_angle_gamma 120.00
_symmetry_space_group_name_H-M 'P 63/m m c'
_symmetry_Int_Tables_number 194
_symmetry_space_group_name_Hall '-P 6c 2c'
loop_
_atom_site_label
_atom_site_fract_x
_atom_site_fract_y
_atom_site_fract_z
Pm1 0.1765 0.3530 0.2500
Au1 0.3333 0.6667 0.7500

---

# PBE PmAu3, relaxed
# energy of formation = -647 meV/atom
# ΔE to the lowest computed polymorph = 13 meV/atom
data_PmAu3
_chemical_formula_sum 'Pm4 Au12'
_cell_length_a 7.034
_cell_length_b 7.034
_cell_length_c 7.034
_cell_angle_alpha 90.00
_cell_angle_beta 90.00
_cell_angle_gamma 90.00
_symmetry_space_group_name_H-M 'F m -3 m'
_symmetry_Int_Tables_number 225
_symmetry_space_group_name_Hall '-F 4 2 3'
loop_
_atom_site_label
_atom_site_fract_x
_atom_site_fract_y
_atom_site_fract_z
Pm1 0.000 0.000 0.000
Au1 0.000 0.000 0.500
Au2 0.250 0.250 0.250

---

# PBE PmAu3, relaxed
# energy of formation = -660 meV/atom
# ΔE to the lowest computed polymorph = 0 meV/atom
data_PmAu3
_chemical_formula_sum 'Pm2 Au6'
_cell_length_a 6.4382
_cell_length_b 6.4382
_cell_length_c 4.8430
_cell_angle_alpha 90.00
_cell_angle_beta 90.00
_cell_angle_gamma 120.00
_symmetry_space_group_name_H-M 'P 63/m m c'
_symmetry_Int_Tables_number 194
_symmetry_space_group_name_Hall '-P 6c 2c'
loop_
_atom_site_label
_atom_site_fract_x
_atom_site_fract_y
_atom_site_fract_z
Pm1 0.3333 0.6667 0.2500
Au1 0.1567 0.3133 0.7500

---

# PBE Pm3Au, relaxed
# energy of formation = -209 meV/atom
# ΔE to the lowest computed polymorph = 23 meV/atom
# M_tot = 0.01 μB/atom
data_Pm3Au
_chemical_formula_sum 'Pm6 Au2'
_cell_length_a 4.706
_cell_length_b 4.706
_cell_length_c 10.226
_cell_angle_alpha 90.00
_cell_angle_beta 90.00
_cell_angle_gamma 90.00
_symmetry_space_group_name_H-M 'I 4/m m m'
_symmetry_Int_Tables_number 139
_symmetry_space_group_name_Hall '-I 4 2'
loop_
_atom_site_label
_atom_site_fract_x
_atom_site_fract_y
_atom_site_fract_z
Pm1 0.000 0.000 0.000
Pm2 0.000 0.500 0.250
Au1 0.000 0.000 0.500

---

# PBE Pm2PtAu, relaxed
# energy of formation = -925 meV/atom
data_Pm2PtAu
_chemical_formula_sum 'Pm8 Pt4 Au4'
_cell_length_a 7.278
_cell_length_b 7.278
_cell_length_c 7.278
_cell_angle_alpha 90.00
_cell_angle_beta 90.00
_cell_angle_gamma 90.00
_symmetry_space_group_name_H-M 'F m -3 m'
_symmetry_Int_Tables_number 225
_symmetry_space_group_name_Hall '-F 4 2 3'
loop_
_atom_site_label
_atom_site_fract_x
_atom_site_fract_y
_atom_site_fract_z
Pm1 0.250 0.250 0.250
Pt1 0.000 0.000 0.000
Au1 0.000 0.000 0.500

---

# PBE Pm2RuAu, relaxed
# energy of formation = -461 meV/atom
data_Pm2RuAu
_chemical_formula_sum 'Pm8 Ru4 Au4'
_cell_length_a 7.190
_cell_length_b 7.190
_cell_length_c 7.190
_cell_angle_alpha 90.00
_cell_angle_beta 90.00
=====
-- Assignment --
It remains to type out everything further up verbatim.
-- Solution --
# PBE Zn2PdAu, relaxed
# energy of formation = -388 meV/atom
data_Zn2PdAu
_chemical_formula_sum 'Zn8 Pd4 Au4'
_cell_length_a 6.264
_cell_length_b 6.264
_cell_length_c 6.264
_cell_angle_alpha 90.00
_cell_angle_beta 90.00
_cell_angle_gamma 90.00
_symmetry_space_group_name_H-M 'F m -3 m'
_symmetry_Int_Tables_number 225
_symmetry_space_group_name_Hall '-F 4 2 3'
loop_
_atom_site_label
_atom_site_fract_x
_atom_site_fract_y
_atom_site_fract_z
Zn1 0.250 0.250 0.250
Pd1 0.000 0.000 0.000
Au1 0.000 0.000 0.500

---

# PBE Zn2PdAu, relaxed
# energy of formation = -389 meV/atom
data_Zn2PdAu
_chemical_formula_sum 'Zn2 Pd1 Au1'
_cell_length_a 3.157
_cell_length_b 3.157
_cell_length_c 6.170
_cell_angle_alpha 90.00
_cell_angle_beta 90.00
_cell_angle_gamma 90.00
_symmetry_space_group_name_H-M 'P 4/m m m'
_symmetry_Int_Tables_number 123
_symmetry_space_group_name_Hall '-P 4 2'
loop_
_atom_site_label
_atom_site_fract_x
_atom_site_fract_y
_atom_site_fract_z
Zn1 0.000 0.000 0.237
Pd1 0.500 0.500 0.000
Au1 0.500 0.500 0.500

---

# PBE Pm3Au, relaxed
# energy of formation = -232 meV/atom
# ΔE to the lowest computed polymorph = 0 meV/atom
data_Pm3Au
_chemical_formula_sum 'Pm6 Au2'
_cell_length_a 7.0023
_cell_length_b 7.0023
_cell_length_c 5.3363
_cell_angle_alpha 90.00
_cell_angle_beta 90.00
_cell_angle_gamma 120.00
_symmetry_space_group_name_H-M 'P 63/m m c'
_symmetry_Int_Tables_number 194
_symmetry_space_group_name_Hall '-P 6c 2c'
loop_
_atom_site_label
_atom_site_fract_x
_atom_site_fract_y
_atom_site_fract_z
Pm1 0.1765 0.3530 0.2500
Au1 0.3333 0.6667 0.7500

---

# PBE PmAu3, relaxed
# energy of formation = -647 meV/atom
# ΔE to the lowest computed polymorph = 13 meV/atom
data_PmAu3
_chemical_formula_sum 'Pm4 Au12'
_cell_length_a 7.034
_cell_length_b 7.034
_cell_length_c 7.034
_cell_angle_alpha 90.00
_cell_angle_beta 90.00
_cell_angle_gamma 90.00
_symmetry_space_group_name_H-M 'F m -3 m'
_symmetry_Int_Tables_number 225
_symmetry_space_group_name_Hall '-F 4 2 3'
loop_
_atom_site_label
_atom_site_fract_x
_atom_site_fract_y
_atom_site_fract_z
Pm1 0.000 0.000 0.000
Au1 0.000 0.000 0.500
Au2 0.250 0.250 0.250

---

# PBE PmAu3, relaxed
# energy of formation = -660 meV/atom
# ΔE to the lowest computed polymorph = 0 meV/atom
data_PmAu3
_chemical_formula_sum 'Pm2 Au6'
_cell_length_a 6.4382
_cell_length_b 6.4382
_cell_length_c 4.8430
_cell_angle_alpha 90.00
_cell_angle_beta 90.00
_cell_angle_gamma 120.00
_symmetry_space_group_name_H-M 'P 63/m m c'
_symmetry_Int_Tables_number 194
_symmetry_space_group_name_Hall '-P 6c 2c'
loop_
_atom_site_label
_atom_site_fract_x
_atom_site_fract_y
_atom_site_fract_z
Pm1 0.3333 0.6667 0.2500
Au1 0.1567 0.3133 0.7500

---

# PBE Pm3Au, relaxed
# energy of formation = -209 meV/atom
# ΔE to the lowest computed polymorph = 23 meV/atom
# M_tot = 0.01 μB/atom
data_Pm3Au
_chemical_formula_sum 'Pm6 Au2'
_cell_length_a 4.706
_cell_length_b 4.706
_cell_length_c 10.226
_cell_angle_alpha 90.00
_cell_angle_beta 90.00
_cell_angle_gamma 90.00
_symmetry_space_group_name_H-M 'I 4/m m m'
_symmetry_Int_Tables_number 139
_symmetry_space_group_name_Hall '-I 4 2'
loop_
_atom_site_label
_atom_site_fract_x
_atom_site_fract_y
_atom_site_fract_z
Pm1 0.000 0.000 0.000
Pm2 0.000 0.500 0.250
Au1 0.000 0.000 0.500

---

# PBE Pm2PtAu, relaxed
# energy of formation = -925 meV/atom
data_Pm2PtAu
_chemical_formula_sum 'Pm8 Pt4 Au4'
_cell_length_a 7.278
_cell_length_b 7.278
_cell_length_c 7.278
_cell_angle_alpha 90.00
_cell_angle_beta 90.00
_cell_angle_gamma 90.00
_symmetry_space_group_name_H-M 'F m -3 m'
_symmetry_Int_Tables_number 225
_symmetry_space_group_name_Hall '-F 4 2 3'
loop_
_atom_site_label
_atom_site_fract_x
_atom_site_fract_y
_atom_site_fract_z
Pm1 0.250 0.250 0.250
Pt1 0.000 0.000 0.000
Au1 0.000 0.000 0.500

---

# PBE Pm2RuAu, relaxed
# energy of formation = -461 meV/atom
data_Pm2RuAu
_chemical_formula_sum 'Pm8 Ru4 Au4'
_cell_length_a 7.190
_cell_length_b 7.190
_cell_length_c 7.190
_cell_angle_alpha 90.00
_cell_angle_beta 90.00